Beginners and Beyond

Bumbling ThursDAILIES (Read 39 times)



    Quick, name a member of this group who pays more attention to what's posted here than me?






    Me! Me!

    Sorry, what was the question again?


       Sorry, what was the question again?




      Super B****


        P.S. - I don't remember you discussing this. From what I remember, the discussion centered around using Bluetooth to upload workouts on GC, as opposed to wifi.


        I vaguely remember that discussion, but it wasn't me.  I wanted to know whether it was possible to get back to the display you see while running when you're looking at the "save" screen.

        chasing the impossible


        because i never shut up ... i blog



          I wouldn't mind having one of those.


          I kindly asked for one of those, more than once, and keep getting excuses. I would need a paper from a specialist saying I need one, but the whole idea is to avoid hurting my back in the first place. Maybe it is time I ask again. It's been a while.

          There will be lots of "  " when they read my requisition.


          I'm organizing a fun race at work in two weeks. It's a 2.85km race (1.77 miles) . One lap around the park near work. I will not be racing it.  I'll draw a chalk line on the asphalt, and will hold the timer, yell "GO",  and keep the stats. I'll do it twice a year, in the Spring and in the Fall, so people can see an evolution in their times.


          PS: No t-shirt, no medal. Just the honor of holding the title. Until someone challenges me Smile



            I vaguely remember that discussion, but it wasn't me.  I wanted to know whether it was possible to get back to the display you see while running when you're looking at the "save" screen.


            It was you, me and Jenny.


            The way I remember the "save screen" discussion, you were asking if you could resume a run after a pause (I think you were meeting someone for ice cream in the middle of a run), and wanted to know if it was possible to resume that run without saving it. I think we determined that you could.

            Half Crazy K 2.0

              LRB & Cyberic, a lot of other departments have had the adjustable desks for a while. So far I really like it, just probably shouldn't spend 75% of my day standing when I am used to sitting on my ass most of the day, aside from my hourly walks--hour one to the ice machine, hour 2 to the bathroom and repeat. Varidesks are what we have. The price seemed pretty reasonable.


              Super B****


                It was you, me and Jenny.


                The way I remember the "save screen" discussion, you were asking if you could resume a run after a pause (I think you were meeting someone for ice cream in the middle of a run), and wanted to know if it was possible to resume that run without saving it. I think we determined that you could.


                The Bluetooth part wasn't me, though!  (I was going to say I don't use Bluetooth, which was true at the time but no longer is.)


                No ice cream -- it was the dead of winter.  I did make a very long coffee stop in Whole Foods after a group run, though, and I didn't want to have my run broken up into two parts because it was my first post-sfx double-digit run, and I needed to have it in one part since I am crazy.  And yes, you can indeed!

                chasing the impossible


                because i never shut up ... i blog



                  The Bluetooth part wasn't me, though!  (I was going to say I don't use Bluetooth, which was true at the time but no longer is.)


                  No ice cream -- it was the dead of winter.  I did make a very long coffee stop in Whole Foods after a group run, though, and I didn't want to have my run broken up into two parts because it was my first post-sfx double-digit run, and I needed to have it in one part since I am crazy.  And yes, you can indeed!


                  Semantics! You agreed that Bluetooth could be used to upload workouts from GC.


                  I wasn't sure if it was ice cream or hot cocoa or hookah, but yeah, I ended up experimenting pausing a couple of runs myself. Although I couldn't tell you now what the hell I did it. lol

Materials data, kept here for reference:
____________
1.
This record from the Alexandria database describes a relaxed structure of ZrAlBr2. The functional is PBE.

Structure (POSCAR):
```
ZrAlBr2
1.0
-1.166 3.578 3.866
-4.671 -2.079 -1.724
0.223 -2.397 2.286
Br Zr Al
2 1 1
direct
0.000 0.000 0.000
0.500 0.500 0.000
0.500 0.000 0.500
0.000 0.500 0.500
```

Summary:
As for the space group: Cmmm. The magnetization comes out at 0.060 μB per atom. Its total energy is -15.53 eV per cell.

=====

2.
This record from the Alexandria database describes a relaxed structure of BeOs. The functional is PBE.

Structure (POSCAR):
```
BeOs
1.0
-0.186 1.989 -1.741
-2.125 -1.553 0.312
-2.648 4.775 5.738
Be Os
2 2
direct
0.000 0.000 0.989
0.500 0.500 0.761
0.000 0.000 0.522
0.500 0.500 0.228
```

Summary:
As for the space group: Cmme. The magnetization comes out at 0.000 μB per atom. The calculation puts the formation energy from the elements at 0.380 eV/atom.

=====

3.
This record from the Alexandria database describes a relaxed structure of Sr2SbPb. The functional is PBE.

Structure (POSCAR):
```
Sr2SbPb
1.0
5.873 -0.070 0.000
-1.270 5.734 0.000
0.000 0.000 4.007
Pb Sb Sr
1 1 2
direct
0.500 0.000 0.500
0.000 0.500 0.500
0.000 0.000 0.000
0.500 0.500 0.000
```

Summary:
As for the space group: Cmmm. The magnetization comes out at 0.000 μB per atom. Its total energy is -13.90 eV per cell.

=====

4.
This record from the Alexandria database describes a relaxed structure of Ba4Al. The functional is PBE.

Structure (POSCAR):
```
Ba4Al
1.0
6.259 2.903 -0.681
-2.745 -2.860 5.688
0.624 -5.536 -4.127
Ba Al
4 1
direct
0.203 0.626 0.829
0.626 0.797 0.423
0.797 0.374 0.171
0.374 0.203 0.577
0.000 0.000 0.000
```

Summary:
As for the space group: I4/m. The magnetization comes out at 0.000 μB per atom. The calculation puts the formation energy from the elements at 0.114 eV/atom.

=====

5.
This record from the Alexandria database describes a relaxed structure of CsYCu3. The functional is PBE.

Structure (POSCAR):
```
CsYCu3
1.0
5.285 0.000 0.000
0.000 5.285 0.000
0.000 0.000 5.285
Cs Y Cu
1 1 3
direct
0.000 0.000 0.000
0.500 0.500 0.500
0.000 0.500 0.000
0.000 0.000 0.500
0.500 0.000 0.000
```

Summary:
As for the space group: Pm-3m. The magnetization comes out at 0.000 μB per atom. The calculation puts the formation energy from the elements at 1.459 eV/atom.

=====

6.
This record from the Alexandria database describes a relaxed structure of Y3TiZn. The functional is PBE.

Structure (POSCAR):
```
Y3TiZn
1.0
5.394 0.000 0.000
0.000 5.394 0.000
0.000 0.000 5.394
Y Zn Ti
3 1 1
direct
0.000 0.500 0.000
0.000 0.000 0.500
0.500 0.000 0.000
0.000 0.000 0.000
0.500 0.500 0.500
```

Summary:
As for the space group: Pm-3m. The magnetization comes out at 0.703 μB per atom. The calculation puts the formation energy from the elements at 0.525 eV/atom.
____________


                  Super B****


                    Semantics! You agreed that Bluetooth could be used to upload workouts from GC.


                    I wasn't sure if it was ice cream or hot cocoa or hookah, but yeah, I ended up experimenting pausing a couple of runs myself. Although I couldn't tell you now what the hell I did it. lol


                    chasing the impossible


                    because i never shut up ... i blog




                      lol - I went blank and that was all I could come up with! We know you don't smoke flavored tobacco.


                      Super B****


                        lol - I went blank and that was all I could come up with! We know you don't smoke flavored tobacco.


                        I'm full of mysteries... you never know!!

                        chasing the impossible

(The text is interrupted by records of crystals)
____________
(1)
Computed, not measured: a geometry-optimized KRbCa3 structure at the PBEsol level of DFT.

Values from the calculation:
- Final energy: -5.32 eV for the cell shown
- Volume: 318 Å³ per cell
- Space-group type: Pm-3m (221)
- Formation energy: 647 meV per atom

Lattice parameters (Å, degrees): 6.8274 6.8274 6.8274 90.00 90.00 90.00
Closest atoms and distances in Å follow each position.
Atoms (fractional coordinates):
1 Ca 0.0000 0.5000 0.0000  2 K 3.41
2 Ca 0.0000 0.0000 0.5000  2 K 3.41
3 Ca 0.5000 0.0000 0.0000  2 K 3.41
4 K 0.0000 0.0000 0.0000  6 Ca 3.41
5 Rb 0.5000 0.5000 0.5000  12 Ca 4.83



(2)
Computed, not measured: a geometry-optimized Tl2SbBr structure at the PBEsol level of DFT.

Values from the calculation:
- Final energy: -12.28 eV for the cell shown
- Energy relative to the elements, uncorrected: -0.15 eV/atom
- Volume: 114 Å³ per cell
- Excess energy over the best structure of this formula in the dataset: 90 meV per atom
- Space-group type: P2/m (10)

Lattice parameters (Å, degrees): 3.5142 4.9547 6.5279 90.00 89.92 90.00
Closest atoms and distances in Å follow each position.
Atoms (fractional coordinates):
1 Sb 0.5000 0.5000 0.5000  2 Br 3.26, 8 Tl 3.47, 2 Sb 3.51
2 Tl 0.9990 0.0000 0.7567  4 Tl 3.18-3.51, 4 Br 3.42-3.43, 4 Sb 3.47
3 Tl 0.0010 0.0000 0.2433  4 Tl 3.18-3.51, 4 Br 3.42-3.43, 4 Sb 3.47
4 Br 0.5000 0.5000 0.0000  2 Sb 3.26, 8 Tl 3.42-3.43, 2 Br 3.51



(3)
Computed, not measured: a geometry-optimized SrIn2Hg structure at the PBEsol level of DFT.

Values from the calculation:
- Final energy: -9.78 eV for the cell shown
- Volume: 106 Å³ per cell
- Space-group type: P4/mmm (123)
- Formation energy: -352 meV per atom

Lattice parameters (Å, degrees): 4.6494 4.6494 4.8905 90.00 90.00 90.00
Closest atoms and distances in Å follow each position.
Atoms (fractional coordinates):
1 Sr 0.5000 0.5000 0.5000  4 Hg 3.29, 8 In 3.37
2 Hg 0.0000 0.0000 0.5000  4 Sr 3.29, 8 In 3.37
3 In 0.0000 0.5000 0.0000  4 In 3.29, 4 Hg 3.37, 4 Sr 3.37
4 In 0.5000 0.0000 0.0000  4 In 3.29, 4 Hg 3.37, 4 Sr 3.37



(4)
Computed, not measured: a geometry-optimized Ta3Br structure at the PBEsol level of DFT.

Values from the calculation:
- Final energy: -38.52 eV for the cell shown
- Energy relative to the elements, uncorrected: 0.25 eV/atom
- Volume: 74 Å³ per cell
- Excess energy over the best structure of this formula in the dataset: 0 meV per atom
- Space-group type: Cmmm (65)

Lattice parameters (Å, degrees): 3.0011 3.0011 8.8773 90.00 90.00 113.18
Closest atoms and distances in Å follow each position.
Atoms (fractional coordinates):
1 Br 0.0000 0.0000 0.0000  4 Ta 2.82, 4 Br 3.00
2 Ta 0.5000 0.5000 0.7433  6 Ta 2.72-3.00, 2 Br 2.82
3 Ta 0.0000 0.0000 0.5000  8 Ta 2.72-3.00
4 Ta 0.5000 0.5000 0.2567  6 Ta 2.72-3.00, 2 Br 2.82



(5)
Computed, not measured: a geometry-optimized Sr2TlPb structure at the PBEsol level of DFT.

Values from the calculation:
- Final energy: -12.39 eV for the cell shown
- Volume: 131 Å³ per cell
____________


                        because i never shut up ... i blog



                          lol - I went blank and that was all I could come up with! We know you don't smoke flavored tobacco.


                          Guess what that dude sees when he closes his eyes?



                          bluerun in a pink tutu!


                          No more marathons


                            I SHOULD take advice from people who do things in unconventional ways... because I don't "train" like a normal person either.

                            Ha.  If you want to see unconventional - check out my 18 weeks training before my first (and PR) marathon.



                            I had 7 weeks at 25 or less, and only 4 at 40 or more.  I think the only reason I did what I did was that people were telling me I couldn't.

                            I can be a bit obstinate.  

                            Boston 2014 - a 33 year journey

                            Lordy,  I hope there are tapes. 

                            He's a leaker!


                              Guess what that dude sees when he closes his eyes?




                              That's a big ass head. blue could practically fit inside it. lol


                              Super B****

                                Disturbing on several levels... that photo needs to die.  Both of them!!

                                chasing the impossible


                                because i never shut up ... i blog